It all came to a head in the most surprising way. One morning, Miguel heard the key in the lock and assumed that Natalia had forgotten something, since she’d only said goodbye five minutes earlier. But his daughter was not who appeared in the door with a triumphant smile.
/*
For NaLi2AgF, a DFT-relaxed cell (GGA-PBE, Alexandria) gives the simulated powder diffractogram in this record (CuKα).

Largest 8 diffraction maxima, in order of rising 2θ, 2θ from 10° to 90°:
hkl	Position (°2θ)	I/Imax
0 0 1	18.64	66
1 0 0	21.30	39
1 0 1	28.45	100
1 1 0	30.30	78
1 1 1	35.81	75
2 0 0	43.38	36
1 1 2	49.18	37
2 1 1	52.69	33

Structure:
Cell: 4.172 4.172 4.761 Å, 90.00 90.00 90.00°
Space group P4/mmm (No. 123)
Inequivalent atoms, fractional coordinates:
Na (0.000, 0.000, 0.000) [1 per cell]
Li (0.000, 0.500, 0.500) [2 per cell]
Ag (0.500, 0.500, 0.000) [1 per cell]
F (0.000, 0.000, 0.500) [1 per cell]

=====

For Ac2Ga12Ir7, a DFT-relaxed cell (GGA-PBE, Alexandria) gives the simulated powder diffractogram in this record (CuKα).

Largest 8 diffraction maxima, in order of rising 2θ, 2θ from 10° to 90°:
hkl	Position (°2θ)	I/Imax
1 2 0	26.81	28
2 0 1	29.73	73
1 2 1	34.68	100
2 2 0	35.34	36
2 2 1	41.79	67
1 3 1	43.09	44
0 0 2	44.00	48
2 3 1	50.35	30

Structure:
Cell: 10.1598 10.1598 4.1157 Å, 90.00 90.00 120.00°
Space group P-6 (No. 174)
Inequivalent atoms, fractional coordinates:
Ac (0.0000, 0.0000, 0.0000) [1 per cell]
Ac (0.3333, 0.6667, 0.5000) [1 per cell]
Ga (0.0127, 0.7327, 0.5000) [3 per cell]
Ga (0.1625, 0.3937, 0.0000) [3 per cell]
Ga (0.3792, 0.1795, 0.0000) [3 per cell]
Ga (0.5468, 0.1401, 0.5000) [3 per cell]
Ir (0.0204, 0.5525, 0.0000) [3 per cell]
Ir (0.2578, 0.0007, 0.5000) [3 per cell]
Ir (0.6667, 0.3333, 0.0000) [1 per cell]

=====

For Ba2AcAs2I2, a DFT-relaxed cell (GGA-PBE, Alexandria) gives the simulated powder diffractogram in this record (CuKα).

Largest 8 diffraction maxima, in order of rising 2θ, 2θ from 10° to 90°:
hkl	Position (°2θ)	I/Imax
1 1 0	21.41	70
1 0 5	29.33	100
2 0 0	30.46	69
2 1 5	42.79	67
2 2 0	43.62	26
3 1 0	49.08	16
3 0 5	53.44	19
3 2 5	62.76	22

Structure:
Cell: 5.869 5.869 17.812 Å, 90.00 90.00 90.00°
Space group I4/mmm (No. 139)
Inequivalent atoms, fractional coordinates:
Ba (0.000, 0.000, 0.113) [4 per cell]
Ac (0.000, 0.000, 0.500) [2 per cell]
As (0.000, 0.500, 0.000) [4 per cell]
I (0.000, 0.000, 0.310) [4 per cell]

=====

For Sr4LiZn3, a DFT-relaxed cell (GGA-PBE, Alexandria) gives the simulated powder diffractogram in this record (CuKα).

Largest 8 diffraction maxima, in order of rising 2θ, 2θ from 10° to 90°:
hkl	Position (°2θ)	I/Imax
1 0 2	24.24	22
1 1 1	27.96	100
0 1 3	28.98	62
1 1 3	35.03	52
1 0 4	35.39	29
0 2 0	37.92	28
2 0 0	39.08	25
2 1 3	49.38	28

Structure:
Cell: 4.610 4.746 12.150 Å, 90.00 90.00 90.00°
Space group Pmm2 (No. 25)
Inequivalent atoms, fractional coordinates:
Sr (0.000, 0.000, 0.000) [1 per cell]
Sr (0.000, 0.500, 0.483) [1 per cell]
Sr (0.500, 0.000, 0.701) [1 per cell]
Sr (0.500, 0.500, 0.206) [1 per cell]
Li (0.000, 0.500, 0.793) [1 per cell]
Zn (0.000, 0.000, 0.290) [1 per cell]
Zn (0.500, 0.000, 0.402) [1 per cell]
Zn (0.500, 0.500, 0.913) [1 per cell]


Record 1
*/
Miguel’s stomach turned on seeing Gustavo, his ex-son-in-law.
“What are you doing here?” he asked, not even attempting to hide his hostility. He hated Gustavo as intensely as he’d once loved him, years ago.
Gustavo smiled in phony cordiality.
“A hug would be nice, Miguel. It’s been a long time.”
Miguel had trouble finding his words, had to chew them up and let them out like mush.
“You are no longer part of this family.”
Gustavo shrugged. It was his most characteristic gesture. Basically, he didn’t care about anything not directly related to him.
“I think you’re wrong. Natalia hasn’t told you, has she?”
“Told me what?”
“Your daughter and I have decided to give it another chance. We’re seeing each other again.”
Miguel swallowed.
“That’s not true. Natalia can’t be back with you.”
Gustavo swung the handful of keys with which he’d just opened the door.
“That’s not your decision to make, Miguel. Your daughter and I still love each other.”
“You can’t even spell the word. You’re nothing but a trickster.”
“Really, can’t we just forget the past?”
“Well, it’s clear that you have. But I can’t forget what you did to my daughter.”
When Natalia first brought a polite, good-looking young man home, in her last year at university, Miguel and Águeda breathed a sigh of relief. Natalia had been through a lot of heartbreak and suffered bouts of depression; she took failure hard and was too fragile for this harsh world. And Gustavo seemed like a nice kid: he had a good head on his shoulders and a clean look about him. They both thought he’d make their daughter happy. But long before they could have suspected, it all turned into a nightmare. As newlyweds, Natalia and Gustavo moved to Barcelona and started coming back to Sevilla less and less. At first this seemed normal for a pair of newlyweds, and Águeda was forever making excuses for them: they needed to be alone, to live in their own bubble.
But slowly the explanations became less plausible, and a series of strange accidents began to occur. One day Natalia showed up with a swollen lip and said she’d tripped; weeks later, she had a black eye that she blamed on some kids who’d been playing ball and hit her. She had bruises on her forearms that she hid by wearing long sleeves even in summer, claiming she had very sensitive skin. Gustavo’s insolence started to come out at their rare family reunions; he’d make fun of her in public, treat her as if she were an idiot, and be condescending. And Natalia flinched, as though skittish. She quit work, stopped seeing the friends she’d known her whole life, and almost never picked up the phone. This went on until the day she was admitted to the hospital. She claimed it was an accident, that the car had run her down. But the witnesses’ testimony differed: Natalia and her husband were arguing in the street, he shook her violently, and actually grabbed her by the hair. She tried to wrench free, and he shoved her into the street. The car dragged her for several meters, breaking her humerus and causing multiple injuries. She could have died, but still refused to press charges against her husband.
It took two more years for her to be free of him, but it wasn’t Natalia who made the decision. It was her husband, who decided to move on to a younger victim. Since then, Natalia hadn’t had a stable relationship.
“If there were any justice in this world, you would be in jail.”
Gustavo scratched his beard. He had that phony carefree attitude that some artists tried to cultivate. He was over forty, but tried to appear under thirty, with his mop of hair, trendy clothes, and a stupid smirk that was always plastered on his face.
“We should just wipe the slate clean, Miguel. Kids change everything.”
Miguel blinked as though someone had flashed a red- hot knife before his eyes.
“What nonsense are you talking about?”
-- begin --
Structure and calculated powder diffraction line list of Mo4Os5 (a PBE-relaxed structure; Cu Kα (weighted mean of Kα1 and Kα2)).

The 10 most intense peaks (10° ≤ 2θ ≤ 80°), by intensity:
2θ (°), d_spacing, intensity
39.79, 2.265, 100.0
45.90, 1.977, 32.9
67.81, 1.382, 20.6
47.01, 1.933, 15.7
14.94, 5.931, 14.0
66.93, 1.398, 10.5
33.28, 2.692, 4.7
50.71, 1.800, 4.5
48.54, 1.876, 1.6
49.61, 1.838, 1.5

Structure:
```
Mo4Os5
1.0
-4.1939 4.1939 1.9329
4.1939 -4.1939 1.9329
4.1939 4.1939 -1.9329
Mo Os
4 5
Cartesian
2.6870 0.0000 0.0000
5.7009 0.0000 0.0000
0.0000 2.6870 0.0000
0.0000 5.7009 0.0000
0.0000 0.0000 0.0000
2.8163 2.8163 0.0000
1.3776 -1.3776 1.9329
-1.3776 1.3776 1.9329
1.3776 1.3776 1.9329
```

---

Structure and calculated powder diffraction line list of Mo2Os5 (a PBE-relaxed structure; Cu Kα (weighted mean of Kα1 and Kα2)).

The 10 most intense peaks (10° ≤ 2θ ≤ 80°), by intensity:
2θ (°), d_spacing, intensity
42.86, 2.110, 100.0
40.84, 2.210, 25.3
37.45, 2.401, 24.3
75.71, 1.256, 12.4
67.52, 1.387, 11.9
56.57, 1.627, 9.7
75.83, 1.255, 6.2
67.65, 1.385, 5.8
56.67, 1.624, 4.9
23.89, 3.725, 4.2

Structure:
```
Mo2Os5
1.0
6.0718 -2.4041 0.0000
6.0718 2.4041 0.0000
-0.5763 0.0000 7.0564
Mo Os
4 10
Cartesian
4.6731 1.6087 6.3074
6.6060 1.6087 4.2772
4.9613 -1.6087 2.7792
6.8941 -1.6087 0.7490
2.0966 0.7978 5.7647
3.9855 0.8019 3.7627
5.9277 0.8062 1.7641
2.3848 -0.7978 2.2365
7.2936 0.8019 6.8220
4.2737 -0.8019 0.2345
9.1824 0.7978 4.8199
5.6395 -0.8062 5.2923
7.5817 -0.8019 3.2938
9.4706 -0.7978 1.2917
```
-- stop --
== End of the calculated crystals ==
Gustavo regarded his ex-father-in-law scornfully. He gave a little tut and then nodded.
“I suppose Natalia also forgot to tell you that you’re going to be a grandfather. Too much good news for one day?”
Miguel opened his mouth to get a breath of air. He felt an anvil pressing down on his chest.
“You’re lying.”
“Ask her. Your daughter is pregnant, and believe me, it wasn’t the Holy Spirit who did it.”
Like a bull struck with a hammer, Miguel cocked his head with his mouth half-open and his eyes in a blank stare. Gustavo used his advantage to go in for the kill. He’d always hated the old fucker.
“I just hope you don’t dare try to meddle in our lives. Natalia told me about your illness. I’m sorry—really I am, it’s a bitch. But you have to think about her, Miguel. Your daughter is going to be a mother, and she doesn’t need you burdening her. It would be best for you to go, move into a home. I hear they’re like five-star hotels, and you’ve got plenty of cash.”
Miguel let his head drop heavily. If anyone pricked him with a pin, not a single drop of blood would have come from his veins at that moment.
“You will not be with my daughter as long as I’m alive.” Gustavo clenched his jaw. His eyes glinted in hatred; he could have snapped the old man in two like a straw. But that wouldn’t have served his plans.
“We’ll see about that, Miguel. We’ll see.”
That night, when Natalia walked in, Miguel was waiting for her on the sofa. She realized immediately what had happened: the smell of Gustavo’s cologne still lingered in the apartment.
“When were you planning on telling me?” Natalia set her purse and keys down on the table.
“I don’t know. I was waiting for the right moment.”
“The right moment? Are you trying to tell me you think that there’s a right moment to tell me you’re going back to the man who almost killed you, and that you’re pregnant with his child?”
“It’s hard to explain.” Miguel exploded.
“Hard to explain? Have you lost your mind?”
Natalia flushed. The words had been festering inside her for some time, and when she let them out, it was like opening the floodgates, a torrent of blame, justification, and resentment for her father.
“Don’t you treat me like a child. I’m not a little girl, despite what you think. You never loved Gustavo, and you’re not willing to give him a second chance. You’re so harsh, and you judge other people, unable to accept their mistakes. But when it comes to judging yourself, there’s a different standard.”
“Mistakes? The man beat you every week. He put you in the hospital. You asked me to come get you in Barcelona, and I did.”
“But people change. And I love him.”
“You cannot love the man who almost destroyed you.”
“I do, I love him, and I don’t care what you think. He asked for my forgiveness, and we’re back to the beautiful things that made us fall in love to begin with. He stopped hanging around those old friends, the ones who got him into coke—the cocaine was what made him have those violent outbursts; he’s better now, for months he’s been seeing a psychiatrist who specializes in anger management …And now I’m pregnant.”
“How could you be so senseless?” Natalia glared angrily at her father.
“I plan to take care of my baby and have a good life and a good family. That’s my right, my decision, and no one is going to stop me. You can accept it or not, but I won’t let you decide what is or is not in my best interest.” Natalia would have kept going, but a knot of anguish caught in her throat and she burst into tears.
Miguel listened to her reprimands and sobs unmoved, stupefied.
-- Here the entry breaks off for crystal structures --
********
Entry 1:
Calculated XRD peak list of Dy5Mg4Tl for Cu Kα (weighted mean of Kα1 and Kα2), from a structure optimized by DFT (GGA-PBE).
Neutral-atom scattering factors, no anomalous dispersion.

Principal peaks in the range 2θ from 5° to 70°, sorted by position:
9.36°, rel. 6.7, hkl 0 0 2
23.49°, rel. 24.9, hkl 1 0 0
33.46°, rel. 100.0, hkl 1 1 0
41.29°, rel. 7.6, hkl 1 1 5
48.00°, rel. 12.2, hkl 2 0 0
48.14°, rel. 6.0, hkl 0 0 10
54.11°, rel. 7.0, hkl 2 1 0
59.81°, rel. 37.8, hkl 2 1 5

Structure:
abc: 3.7908 3.7908 18.9029
angles: 90.00 90.00 90.00
Fractional coordinates of all 10 atoms:
Dy 0.0000 0.0000 0.0000
Dy 0.0000 0.0000 0.2001
Dy 0.0000 0.0000 0.3980
Dy 0.0000 0.0000 0.6020
Dy 0.0000 0.0000 0.7999
Mg 0.5000 0.5000 0.1001
Mg 0.5000 0.5000 0.2975
Mg 0.5000 0.5000 0.7025
Mg 0.5000 0.5000 0.8999
Tl 0.5000 0.5000 0.5000



Entry 2:
Calculated XRD peak list of LaPaGeO6 for Cu Kα (weighted mean of Kα1 and Kα2), from a structure optimized by DFT (GGA-PBE).
Neutral-atom scattering factors, no anomalous dispersion.

Principal peaks in the range 2θ from 5° to 70°, sorted by position:
18.47°, rel. 14.7, hkl 1 0 0
26.60°, rel. 100.0, hkl 1 0 2
32.27°, rel. 42.9, hkl 1 1 0
42.30°, rel. 29.6, hkl 2 0 2
51.10°, rel. 35.0, hkl 1 1 4
54.19°, rel. 28.7, hkl 2 1 2
57.55°, rel. 13.0, hkl 3 0 0
62.68°, rel. 9.3, hkl 1 0 6

Structure:
abc: 5.5479 5.5479 9.3495
angles: 90.00 90.00 120.00
Fractional coordinates of all 18 atoms:
La 0.3333 0.6667 0.2500
La 0.6667 0.3333 0.7500
Pa 0.0000 0.0000 0.0000
Pa 0.0000 0.0000 0.5000
Ge 0.3333 0.6667 0.7500
Ge 0.6667 0.3333 0.2500
O 0.0661 0.3606 0.6298
O 0.0661 0.7054 0.8702
O 0.2946 0.3606 0.8702
O 0.2946 0.9339 0.6298
O 0.3606 0.0661 0.1298
O 0.3606 0.2946 0.3702
O 0.6394 0.7054 0.6298
O 0.6394 0.9339 0.8702
O 0.7054 0.0661 0.3702
O 0.7054 0.6394 0.1298
O 0.9339 0.2946 0.1298
O 0.9339 0.6394 0.3702

* * * * *

LiVP2O7: theoretical XRD peak list (Cu Kα X-rays), based on a PBE+U-relaxed structure.

Atomic structure:
```
LiVP2O7
1.0
6.461 0.000 0.000
2.720 8.927 0.000
0.761 4.423 9.635
Li V P O
4 4 8 28
Direct
0.000 0.000 0.000 Li
0.080 0.444 0.625 Li
0.531 0.013 0.513 Li
0.689 0.796 0.083 Li
0.019 0.429 0.350 V
0.298 0.429 0.859 V
0.368 0.829 0.818 V
0.931 0.030 0.371 V
0.069 0.237 0.136 P
0.237 0.631 0.064 P
0.341 0.734 0.554 P
0.533 0.378 0.304 P
0.574 0.108 0.803 P
0.726 0.740 0.394 P
0.771 0.484 0.899 P
0.953 0.123 0.642 P
0.010 0.080 0.157 O
0.036 0.610 0.145 O
0.044 0.268 0.558 O
0.080 0.229 0.286 O
0.088 0.005 0.779 O
0.198 0.847 0.421 O
0.228 0.631 0.916 O
0.261 0.590 0.655 O
0.264 0.271 0.055 O
0.290 0.794 0.031 O
0.333 0.398 0.388 O
0.369 0.242 0.799 O
0.385 0.840 0.622 O
0.442 0.478 0.143 O
0.519 0.000 0.739 O
0.568 0.650 0.508 O
0.614 0.399 0.880 O
0.628 0.197 0.328 O
0.633 0.809 0.249 O
0.661 0.661 0.881 O
0.704 0.451 0.323 O
0.706 0.006 0.940 O
0.723 0.206 0.688 O
0.752 0.871 0.439 O
0.862 0.393 0.061 O
0.915 0.031 0.560 O
0.939 0.596 0.431 O
0.973 0.459 0.816 O
```
********
-- Here the entry continues --
“If that man comes back into your life, I’ll walk out of it. Forever.”
“Don’t threaten me, Papá. I’m not the girl who’d do anything to keep from disappointing you anymore.”
“You have to make a choice, here and now.”
Natalia stared at her father in shock. He held her gaze, unyielding. Then she nodded slowly. Her voice had turned cold.
“If you can’t accept me living my own life, then…”
“Then what?”
“You’ll have to go, Papá.”
Miguel felt a hand reach through his body and wrench out his insides.